View Full Version : SetRange Results ??

09-05-2008, 12:26 PM
In my continuing battle with Word2003 and the SetRange command, I have encountered another strange situation. In this particular case, I am trying to change a particular character string in a paragraph from, say, "abc" to "def"

Using the Replace command, e.g., Para.Range.Text = Replace(Para.Range.Text,"abc","def")seems obvious and does replace the text, but it also destroys any formatting in the paragraph. So I am using a Range object to change "abc" to "def"I1 = (magically found start position of "abc"}
I2 = I1 + 2
Set wrdRange = ActiveDocument.Range(I1, I2)
wrdRange.Text = "def"This works fine. wrdRange.Text is initially "abc" and is then "def". And any formatting in the paragraph is retained.

That is unless "abc" happens to have an associated hyperlink. Then wrdRange inherits the hyperlink and wrdRange.Text is not initially = "abc". Rather, it appears to be equal to some portion of the hyperlink information and the subsequent setting of wrdRange.Text to "def" has no impact on the "abc" text in the para nor does it seem to have any effect on the hyperlink.
Is this correct? It is easy to test for the case of a hyperlink, but what do I do to change "abc" to "def"?

09-05-2008, 01:00 PM
You need to understand that, behind the scenes as it were, there is a long string of data that includes more than just the text you can see. It does not include formatting - that is held separately - but it does include control information for fields, such as hyperlinks.

Simplified, you might have this in your document:

this is showing this text and then this

but in the range it looks like this:

this is { HYPERLINK to somewhere | showing this text } and then this

If you change the display (with F9) to show fields, you will see this:

this is { HYPERLINK to somewhere } and then this

No matter what view you choose you never see everything all at one time, but if you use positions as parameters to a Range, or SetRange, method they represent positions in the behind-the-scenes view, when what you want is the 'visible' view.

You control what is 'visible' (note that I use 'visible' in quotes because you are working with a range, not the selection, so you don't see anything but you work as though you see it) - you control it using the TextRetrievalMode property of the Range. When you know what you are looking at you then want to use methods such as Move, MoveEnd, etc. as these will work with the (logical) view rather than the range directly.

Something on these (pseudo-)lines:

I1 = (magically found start position of "abc"}
Set wrdRange = ActiveDocument.Range(I1, I1)
wrdRange.moveend 3

Note that the default TextRetrievalMode will mirror that in t he active window and probably not need changing.

09-05-2008, 04:34 PM
Tony: thanks for the reply. I already knew (conceptually) most of what you described, i.e., that there is lots more behind the scenes. And I know most of what it is. What was a surprise is how that information is stored. It makes no sense to me to "store" that information as part of the text. Hyperlink information should be stored as attributes of the range object, not embedded in the Text The architecture of the Range object certainly does not suggest that messy mode of storage to me. But ... it is what it is.

I poked around VBA Help exploring TextRetrievalMode. Based on the example, it looks more like a masking process. In the following VAB Help example: Set aRange = Selection.Range
With aRange.TextRetrievalMode
.IncludeHiddenText = False
.IncludeFieldCodes = False
End With
MsgBox aRange.Text I would assume that when aRange.Text is displayed, the hidden text and field codes would not be "visible". In my version of Word, those statements do nothing, i.e., the hidden text is still there.

**Crystal structures that have nothing to do with the entry**
'''
#one
{
  "formula": "Pm12GeRh6",
  "functional": "PBE",
  "state": "relaxed",
  "cell": [[0.4593, 5.3465, -6.8754], [6.1246, -6.1697, -0.7007], [-7.8760, -3.7377, 0.2552]],
  "species": ["Ge", "Pm", "Pm", "Pm", "Pm", "Pm", "Pm", "Pm", "Pm", "Pm", "Pm", "Pm", "Pm", "Rh", "Rh", "Rh", "Rh", "Rh", "Rh"],
  "frac_coords": [[0.0000, 0.0000, 0.0000], [0.1850, 0.3014, 0.4864], [0.8836, 0.1850, 0.6986], [0.4864, 0.1850, 0.3014], [0.3014, 0.1164, 0.8150], [0.1164, 0.8150, 0.3014], [0.6986, 0.5136, 0.8150], [0.1850, 0.6986, 0.8836], [0.3014, 0.4864, 0.1850], [0.6986, 0.8836, 0.1850], [0.8150, 0.3014, 0.1164], [0.8150, 0.6986, 0.5136], [0.5136, 0.8150, 0.6986], [0.1329, 0.6329, 0.5000], [0.5000, 0.8671, 0.3671], [0.6329, 0.5000, 0.1329], [0.5000, 0.1329, 0.6329], [0.3671, 0.5000, 0.8671], [0.8671, 0.3671, 0.5000]],
  "sg": "No. 204",
  "rho_g_cm3": 7.90,
  "magmom_total_mub_per_fu": 0.000
}

=====

#two
{
  "formula": "Pm12GeRh6",
  "functional": "PBE",
  "state": "relaxed",
  "cell": [[-0.3165, 8.3676, -1.0995], [-6.0014, -1.1549, 5.8289], [7.0158, -0.8202, 4.6294]],
  "species": ["Pm", "Pm", "Pm", "Pm", "Pm", "Pm", "Pm", "Pm", "Pm", "Pm", "Pm", "Pm", "Rh", "Rh", "Rh", "Rh", "Rh", "Rh", "Ge"],
  "frac_coords": [[0.8248, 0.5848, 0.4293], [0.5848, 0.4293, 0.8248], [0.9337, 0.3283, 0.0787], [0.4293, 0.8248, 0.5848], [0.9213, 0.0663, 0.6717], [0.5707, 0.1752, 0.4152], [0.4152, 0.5707, 0.1752], [0.3283, 0.0787, 0.9337], [0.1752, 0.4152, 0.5707], [0.0663, 0.6717, 0.9213], [0.0787, 0.9337, 0.3283], [0.6717, 0.9213, 0.0663], [0.3117, 0.1388, 0.6142], [0.1388, 0.6142, 0.3117], [0.6142, 0.3117, 0.1388], [0.8612, 0.3858, 0.6883], [0.3858, 0.6883, 0.8612], [0.6883, 0.8612, 0.3858], [0.0000, 0.0000, 0.0000]],
  "sg": "No. 148",
  "rho_g_cm3": 7.20,
  "magmom_total_mub_per_fu": 0.000
}

=====

The relative energies come out as #one 0.0; #two 3.7, with values in kJ/mol of atoms.

=====

The following is a GGA-PBE calculation of crystalline CaI3Br at its relaxed geometry, from Alexandria.

Summary:
* formation energy (no corrections): -0.1505 eV per atom
* offset from the most stable computed form: 396.9 meV/atom
* space group: No. 221
* magnetic moment: 0.68 μB per cell
* energy: -9.078 eV per cell

Cell and atoms, written as CIF:
```
data_CaI3Br
_space_group_name_H-M_alt 'P 1'
_space_group_IT_number 1
_cell_length_a 6.027
_cell_length_b 6.027
_cell_length_c 6.027
_cell_angle_alpha 90.00
_cell_angle_beta 90.00
_cell_angle_gamma 90.00
loop_
_space_group_symop_operation_xyz
'x,y,z'
loop_
_atom_site_label
_atom_site_fract_x
_atom_site_fract_y
_atom_site_fract_z
Ca1 0.000 0.000 0.000
I1 0.000 0.500 0.500
I2 0.500 0.000 0.500
I3 0.500 0.500 0.000
Br1 0.500 0.500 0.500
```
'''
**The crystal structures stop here**

I am still confused about the examination of Range.Text. If I use Instr to scan Range.Text for "abc", it behaves exactly as if the is no hidden text, no hidden field codes, etc. Why? Similarly, Replace works and does not appear to alter the hidden text (just the format) Why?

I do not understand what the pseudo code you provided is supposed to do. Based on VBA Help, it should advance the end 3 "counts" of unit=characters. In my test case, it advances the "end" 19 characters. There is nothing magic in that number of characters or that position (as best I can tell).

So, back to my earlier question:
I have a paragraph in which is the text "abc". That text has a hyperlink attached. Given Para.Range, how do I find "abc" and then change that to "def" without screwing up the paragraph's formatting or the hyperlink attached to "abc"

09-05-2008, 11:47 PM
Yes, TextRetrievalMode is, effectively, a mask, and the only time the mask is not used is when you explicitly use Range Start and Range End positions. So, when using Range.Text, as in your InStr case, you are not using a start or end position so you see the filtered text.

Whether or not fields (including hyperlinks) should be held in line is really a moot point: that design decision was made long ago and far away. You should really consider the start and end points more as labels, or markers, than as meaningful numbers (like windows handles, say).

MoveEnd - and other related methods - work with objects that reflect what is 'visible' in the range; in the example case they are working with Character objects and normal character objects may occupy multiple bytes in the range, depending on the format used for storage, about which neither you nor I need care.

Surrogate pairs, for example, used for some far eastern characters in unicode, may use four bytes (assuming UCS2 is being used). I don't know whether you know anything about this but the point is you shouldn't need to - just consider the start and end positions, as already said, as labels without any other inherent meaning and let Word get on and manage what is actually being done to present the data to you.

So back to your original question. Once again, a full answer could be very complicated but by using Range.MoveEnd 3 you can do it in this case - or use Find & Replace and let Word worry about the finer details.

09-06-2008, 05:38 PM
Tony, thanks for you reply and suggestions. As often happens, I decided to attack this problem from a different perspective and came up with a better and more broadly useful solution.

09-07-2008, 05:28 AM
Using the Replace command, e.g.,

Para.Range.Text = Replace(Para.Range.Text,"abc","def")
seems obvious and does replace the text, but it also destroys any formatting in the paragraph.

This is not the case with proper use of Styles.